~~~
Entry 1:
Compound: ZnCd3Ge
Source: the Alexandria database
Functional: PBE-GGA
Structure: relaxed

The structure belongs to space group Pm-3m (No. 221); the cell edges are 5.311, 5.311 and 5.311 Å and the angles 90.00°, 90.00° and 90.00°. The distinct sites, in fractional coordinates, are Zn at (0.000, 0.000, 0.000), Cd at (0.000, 0.500, 0.500) and Ge at (0.500, 0.500, 0.500).

As for the total magnetization: 0.000 μB per formula unit. The value obtained for the formation energy is 0.4033 eV/atom. Its total energy is -1.3240 eV/atom.

***

Entry 2:
Compound: Zn2CdGe
Source: the Alexandria database
Functional: PBE-GGA
Structure: relaxed

The structure belongs to space group P4/mmm (No. 123); the cell edges are 4.233, 4.233 and 4.140 Å and the angles 90.00°, 90.00° and 90.00°. The distinct sites, in fractional coordinates, are Zn at (0.000, 0.500, 0.000), Cd at (0.000, 0.000, 0.500) and Ge at (0.500, 0.500, 0.500).

As for the total magnetization: 0.000 μB per formula unit. The value obtained for the formation energy is 0.1618 eV/atom. Its total energy is -1.8583 eV/atom.

***

Entry 3:
Compound: Zn2CdGe2
Source: the Alexandria database
Functional: PBE-GGA
Structure: relaxed

The structure belongs to space group I4/mmm (No. 139); the cell edges are 4.239, 4.239 and 11.034 Å and the angles 90.00°, 90.00° and 90.00°. The distinct sites, in fractional coordinates, are Zn at (0.000, 0.500, 0.250), Cd at (0.000, 0.000, 0.000) and Ge at (0.000, 0.000, 0.387).

As for the total magnetization: 0.000 μB per formula unit. The value obtained for the formation energy is 0.1508 eV/atom. Its total energy is -2.3887 eV/atom.

***

Entry 4:
Compound: Zn2Cd2Ge
Source: the Alexandria database
Functional: PBE-GGA
Structure: relaxed

The structure belongs to space group I4/mmm (No. 139); the cell edges are 4.079, 4.079 and 12.486 Å and the angles 90.00°, 90.00° and 90.00°. The distinct sites, in fractional coordinates, are Zn at (0.000, 0.000, 0.095), Cd at (0.000, 0.500, 0.250) and Ge at (0.000, 0.000, 0.500).

As for the total magnetization: 0.000 μB per formula unit. The value obtained for the formation energy is 0.2514 eV/atom. Its total energy is -1.5477 eV/atom.

***

Q: Which value of total energy does entry 1 give?
A: -1.3240 eV/atom

***

Q: Which value of total magnetization does entry 2 give?
A: 0.000 μB per formula unit
~~~
Find the line further above that holds "221); the", then quote that line and all lines after it there.
The structure belongs to space group Pm-3m (No. 221); the cell edges are 5.311, 5.311 and 5.311 Å and the angles 90.00°, 90.00° and 90.00°. The distinct sites, in fractional coordinates, are Zn at (0.000, 0.000, 0.000), Cd at (0.000, 0.500, 0.500) and Ge at (0.500, 0.500, 0.500).

As for the total magnetization: 0.000 μB per formula unit. The value obtained for the formation energy is 0.4033 eV/atom. Its total energy is -1.3240 eV/atom.

***

Entry 2:
Compound: Zn2CdGe
Source: the Alexandria database
Functional: PBE-GGA
Structure: relaxed

The structure belongs to space group P4/mmm (No. 123); the cell edges are 4.233, 4.233 and 4.140 Å and the angles 90.00°, 90.00° and 90.00°. The distinct sites, in fractional coordinates, are Zn at (0.000, 0.500, 0.000), Cd at (0.000, 0.000, 0.500) and Ge at (0.500, 0.500, 0.500).

As for the total magnetization: 0.000 μB per formula unit. The value obtained for the formation energy is 0.1618 eV/atom. Its total energy is -1.8583 eV/atom.

***

Entry 3:
Compound: Zn2CdGe2
Source: the Alexandria database
Functional: PBE-GGA
Structure: relaxed

The structure belongs to space group I4/mmm (No. 139); the cell edges are 4.239, 4.239 and 11.034 Å and the angles 90.00°, 90.00° and 90.00°. The distinct sites, in fractional coordinates, are Zn at (0.000, 0.500, 0.250), Cd at (0.000, 0.000, 0.000) and Ge at (0.000, 0.000, 0.387).

As for the total magnetization: 0.000 μB per formula unit. The value obtained for the formation energy is 0.1508 eV/atom. Its total energy is -2.3887 eV/atom.

***

Entry 4:
Compound: Zn2Cd2Ge
Source: the Alexandria database
Functional: PBE-GGA
Structure: relaxed

The structure belongs to space group I4/mmm (No. 139); the cell edges are 4.079, 4.079 and 12.486 Å and the angles 90.00°, 90.00° and 90.00°. The distinct sites, in fractional coordinates, are Zn at (0.000, 0.000, 0.095), Cd at (0.000, 0.500, 0.250) and Ge at (0.000, 0.000, 0.500).

As for the total magnetization: 0.000 μB per formula unit. The value obtained for the formation energy is 0.2514 eV/atom. Its total energy is -1.5477 eV/atom.

***

Q: Which value of total energy does entry 1 give?
A: -1.3240 eV/atom

***

Q: Which value of total magnetization does entry 2 give?
A: 0.000 μB per formula unit